Page 90 of Venom & Vengeance

“That works for me. Are you already back at the clubhouse?”

“No. We haven’t left yet,” I said. “We’re about to hop on Viper’s bike.”

Willa laughed. “Well, I appreciate the call. I’ll see you tomorrow?”

“Sounds good.” I hung up with Willa and stuck my phone back into my purse.

Viper handed me the helmet. He sighed and muttered something under his breath.

“What was that?” I demanded.

“Nothing. Let’s get home.”

-- Records of crystals, kept here for reference --
~~~
1.
Material: Sr2SiSbAu6
Method: DFT, PBE-GGA
State: relaxed

```
data_Sr2SiSbAu6
_chemical_formula_sum 'Sr4 Si2 Sb2 Au12'
_cell_length_a 7.174
_cell_length_b 9.261
_cell_length_c 7.333
_cell_angle_alpha 90.00
_cell_angle_beta 90.00
_cell_angle_gamma 90.00
_space_group_name_H-M_alt 'P m m n'
_space_group_IT_number 59
loop_
_space_group_symop_operation_xyz
'x,y,z'
'-x,-y,-z'
'-x+1/2,-y+1/2,z'
'x+1/2,y+1/2,-z'
'x+1/2,-y,-z'
'-x+1/2,y,z'
'-x,y+1/2,-z'
'x,-y+1/2,z'
loop_
_atom_site_label
_atom_site_type_symbol
_atom_site_fract_x
_atom_site_fract_y
_atom_site_fract_z
_atom_site_occupancy
Sr1 Sr 0.250 0.020 0.238 1
Si1 Si 0.250 0.250 0.583 1
Sb1 Sb 0.250 0.750 0.903 1
Au1 Au 0.052 0.250 0.885 1
Au2 Au 0.060 0.750 0.532 1
Au3 Au 0.250 0.003 0.715 1
```

Values from the calculation:
**Formation energy without anion corrections**: -4.953 eV per formula unit

***

2.
Material: Sr3Si2SbAu9
Method: DFT, PBE-GGA
State: relaxed

```
data_Sr3Si2SbAu9
_chemical_formula_sum 'Sr3 Si2 Sb1 Au9'
_cell_length_a 7.3263
_cell_length_b 7.3263
_cell_length_c 8.1556
_cell_angle_alpha 90.00
_cell_angle_beta 90.00
_cell_angle_gamma 120.00
_space_group_name_H-M_alt 'P -3 m 1'
_space_group_IT_number 164
_space_group_name_Hall '-P 3 2"'
loop_
_atom_site_label
_atom_site_type_symbol
_atom_site_fract_x
_atom_site_fract_y
_atom_site_fract_z
_atom_site_occupancy
Sr1 Sr 0.0000 0.0000 0.0000 1
Sr2 Sr 0.3333 0.6667 0.6731 1
Si1 Si 0.3333 0.6667 0.1434 1
Sb1 Sb 0.0000 0.0000 0.5000 1
Au1 Au 0.0000 0.5000 0.0000 1
Au2 Au 0.1827 0.3654 0.3280 1
```

Values from the calculation:
**Formation energy without anion corrections**: -6.013 eV per formula unit

***

3.
Material: SiTcSbAu2
Method: DFT, PBE-GGA
State: relaxed

```
data_SiTcSbAu2
_chemical_formula_sum 'Si1 Tc1 Sb1 Au2'
_cell_length_a 5.093
_cell_length_b 5.093
_cell_length_c 4.971
_cell_angle_alpha 90.00
_cell_angle_beta 90.00
_cell_angle_gamma 90.00
_space_group_name_H-M_alt 'P 4/m m m'
_space_group_IT_number 123
_space_group_name_Hall '-P 4 2'
loop_
_atom_site_label
_atom_site_type_symbol
_atom_site_fract_x
_atom_site_fract_y
_atom_site_fract_z
_atom_site_occupancy
Si1 Si 0.000 0.000 0.000 1
Tc1 Tc 0.500 0.500 0.500 1
Sb1 Sb 0.500 0.500 0.000 1
Au1 Au 0.000 0.500 0.500 1
```

Values from the calculation:
**Formation energy without anion corrections**: 5.472 eV per formula unit

***

4.
Material: Tl2SiSbAu6
Method: DFT, PBE-GGA
State: relaxed

```
data_Tl2SiSbAu6
_chemical_formula_sum 'Tl4 Si2 Sb2 Au12'
_cell_length_a 7.059
_cell_length_b 9.338
_cell_length_c 7.429
_cell_angle_alpha 90.00
_cell_angle_beta 90.00
_cell_angle_gamma 90.00
_space_group_name_H-M_alt 'P m m n'
_space_group_IT_number 59
loop_
_space_group_symop_operation_xyz
'x,y,z'
'-x,-y,-z'
'-x+1/2,-y+1/2,z'
'x+1/2,y+1/2,-z'
'x+1/2,-y,-z'
'-x+1/2,y,z'
'-x,y+1/2,-z'
'x,-y+1/2,z'
loop_
_atom_site_label
_atom_site_type_symbol
_atom_site_fract_x
_atom_site_fract_y
_atom_site_fract_z
_atom_site_occupancy
Tl1 Tl 0.250 0.015 0.244 1
Si1 Si 0.250 0.250 0.598 1
~~~

Home. Funny word.

“You really view the clubhouse as home?” I asked, clipping the strap around my chin.

“It’s as good as any, I guess.”

I looked back at Willa and Duke’s home. A house was just a house, but their home had a feeling.

I’d never lived in a place that felt like that. Warm, inviting.


Viper cranked the engine, pulling me back to the present. I slid on behind him, wrapped my arms around his middle, and we drove off.

My head was full of thoughts and questions. About Viper’s past. About why I wanted to know. And about why I was completely determined not to ask him about it.

Getting in deeper with Viper, exploring our past wounds, our canyon of traumas, was a sure-fire way to bond. And I didn’t want to bond. Not any more than I already had.

Tonight had probably been a mistake to begin with. Not that I hadn’t enjoyed dinner and the company, and the energy of teenagers, and a family that was close. But it was for that reason that it shouldn’t be repeated.

Viper and I had a deal. And complicating a sexual relationship with food and dinners with his club brothers and their Old Ladies was something I should avoid in the future.

This would end. Our time together was finite. And that realization shot a pang of remorse through me.

We arrived back at the clubhouse. Smoke and Bones were sitting in the living room, having a couple of beers with two women I didn’t recognize. I briefly wondered if they were from the party the other night, but I didn’t really care.

I waved at them and then headed for the stairs. Viper was hot on my trail. When I made a move to go to my own room, he reached for my hand and dragged me to his.

I sighed but didn’t bother fighting.

He opened the door to his room and flipped on the light. I walked inside and the moment I did, he shut the door and pushed me against it. Viper caged me in with his arms and bent his head down.

[What comes next are materials data, not part of the page]
____________
(1)
{
  "formula": "Al3Fe2Si",
  "functional": "SCAN",
  "state": "single point on PBEsol structure",
  "lattice_angstrom": [[-2.0549, 3.0673, -6.5644], [-3.7880, -4.1043, -5.0525], [-7.2604, 1.4674, -1.3620]],
  "species": ["Fe", "Fe", "Fe", "Fe", "Fe", "Fe", "Fe", "Fe", "Al", "Al", "Al", "Al", "Al", "Al", "Al", "Al", "Al", "Al", "Al", "Al", "Si", "Si", "Si", "Si"],
  "fractional_positions": [[0.9105, 0.9105, 0.9105], [0.3395, 0.3395, 0.9816], [0.9105, 0.9105, 0.2684], [0.2684, 0.9105, 0.9105], [0.3395, 0.3395, 0.3395], [0.3395, 0.9816, 0.3395], [0.9816, 0.3395, 0.3395], [0.9105, 0.2684, 0.9105], [0.2989, 0.7011, 0.2989], [0.9511, 0.9511, 0.5489], [0.7011, 0.7011, 0.2989], [0.5489, 0.9511, 0.9511], [0.2989, 0.7011, 0.7011], [0.5489, 0.9511, 0.5489], [0.7011, 0.2989, 0.2989], [0.9511, 0.5489, 0.5489], [0.2989, 0.2989, 0.7011], [0.9511, 0.5489, 0.9511], [0.5489, 0.5489, 0.9511], [0.7011, 0.2989, 0.7011], [0.6250, 0.1250, 0.1250], [0.1250, 0.6250, 0.1250], [0.1250, 0.1250, 0.1250], [0.1250, 0.1250, 0.6250]],
  "dft_energy_ev_per_atom": -11.9265,
  "raw_formation_energy_ev_per_atom": -0.338,
  "mass_density_g_cm3": 4.853,
  "magmom_total_mub_per_cell": 3.3
}

(2)
{
  "formula": "AlFe6Si",
  "functional": "SCAN",
  "state": "single point on PBEsol structure",
  "lattice_angstrom": [[6.1680, -0.0061, 0.0000], [-2.0688, 5.8107, 0.0000], [0.0000, 0.0000, 10.0837]],
  "species": ["Fe", "Fe", "Fe", "Fe", "Fe", "Fe", "Fe", "Fe", "Fe", "Fe", "Fe", "Fe", "Fe", "Fe", "Fe", "Fe", "Fe", "Fe", "Fe", "Fe", "Fe", "Fe", "Fe", "Fe", "Al", "Al", "Al", "Al", "Si", "Si", "Si", "Si"],
  "fractional_positions": [[0.6278, 0.8783, 0.6232], [0.2499, 0.7501, 0.7462], [0.8784, 0.6292, 0.8730], [0.3722, 0.1217, 0.6232], [0.0000, 0.0000, 0.5000], [0.1216, 0.3708, 0.1270], [0.3708, 0.1216, 0.8730], [0.0000, 0.0000, 0.0000], [0.1216, 0.3708, 0.8730], [0.1217, 0.3722, 0.6232], [0.3722, 0.1217, 0.3768], [0.8784, 0.6292, 0.1270], [0.6292, 0.8784, 0.8730], [0.2499, 0.7501, 0.2538], [0.5000, 0.5000, 0.5000], [0.3708, 0.1216, 0.1270], [0.7501, 0.2499, 0.7462], [0.8783, 0.6278, 0.3768], [0.6278, 0.8783, 0.3768], [0.6292, 0.8784, 0.1270], [0.8783, 0.6278, 0.6232], [0.7501, 0.2499, 0.2538], [0.1217, 0.3722, 0.3768], [0.5000, 0.5000, 0.0000], [0.2531, 0.7469, 0.0000], [0.7469, 0.2531, 0.0000], [0.5000, 0.5000, 0.7502], [0.5000, 0.5000, 0.2498], [0.2533, 0.7467, 0.5000], [0.7467, 0.2533, 0.5000], [0.0000, 0.0000, 0.2500], [0.0000, 0.0000, 0.7500]],
  "dft_energy_ev_per_atom": -16.1028,
  "raw_formation_energy_ev_per_atom": -0.285,
  "mass_density_g_cm3": 7.173,
  "magmom_total_mub_per_cell": 55.6
}

(3)
{
  "formula": "AlFe3Si",
  "functional": "SCAN",
  "state": "single point on PBEsol structure",
  "lattice_angstrom": [[4.1847, 0.0000, 0.0000], [0.0000, 4.1847, 0.0000], [0.0000, 0.0000, 4.1847]],
  "species": ["Fe", "Fe", "Fe", "Al", "Si"],
____________

I looked up at him. His brown eyes swirled with emotion.

“You want to talk about it? Or you want to fuck it out?”

I let out a breath. “Fuck.”

“Good answer.”

He removed his hands from the door and shoved away from it. Viper grasped the hem of my tank and pulled it over my head. His thumbs grazed my nipples, making them pucker. He cupped my breasts, kneading them in his large hands.

I placed a palm on his muscled abdomen, stroking him through his shirt before pushing him away. I bent over and unlaced my boots and kicked them off.

Calculated crystals that have nothing to do with the article:
********
# GdPaPtRh | Alexandria via LeMat-Bulk | PBE | optimized geometry
data_GdPaPtRh
_chemical_formula_sum 'Gd4 Pa4 Pt4 Rh4'
_space_group_name_H-M_alt 'F -4 3 m'
_space_group_IT_number 216
_space_group_name_Hall 'F -4 2 3'
_cell_length_a 6.9859
_cell_length_b 6.9859
_cell_length_c 6.9859
_cell_angle_alpha 90.00
_cell_angle_beta 90.00
_cell_angle_gamma 90.00
loop_
_atom_site_label
_atom_site_type_symbol
_atom_site_fract_x
_atom_site_fract_y
_atom_site_fract_z
Gd1 Gd 0.0000 0.0000 0.0000
Pa1 Pa 0.0000 0.0000 0.5000
Pt1 Pt 0.2500 0.2500 0.2500
Rh1 Rh 0.2500 0.2500 0.7500
# energy of formation from the pure elements	-0.771	eV/atom

***

# NaSr2Mn | Alexandria via LeMat-Bulk | PBE | optimized geometry
data_NaSr2Mn
_chemical_formula_sum 'Na4 Sr8 Mn4'
_space_group_name_H-M_alt 'F m -3 m'
_space_group_IT_number 225
_space_group_name_Hall '-F 4 2 3'
_cell_length_a 8.3682
_cell_length_b 8.3682
_cell_length_c 8.3682
_cell_angle_alpha 90.00
_cell_angle_beta 90.00
_cell_angle_gamma 90.00
loop_
_atom_site_label
_atom_site_type_symbol
_atom_site_fract_x
_atom_site_fract_y
_atom_site_fract_z
Na1 Na 0.0000 0.0000 0.0000
Sr1 Sr 0.2500 0.2500 0.2500
Mn1 Mn 0.0000 0.0000 0.5000
# ΔE to the lowest computed polymorph	0.00	eV per formula unit
# energy of formation from the pure elements	0.384	eV/atom

***

# NdCdF5 | Alexandria via LeMat-Bulk | PBE | optimized geometry
data_NdCdF5
_chemical_formula_sum 'Nd4 Cd4 F20'
_space_group_name_H-M_alt 'C 1 2/c 1'
_space_group_IT_number 15
_space_group_name_Hall '-C 2yc'
_cell_length_a 9.7102
_cell_length_b 7.2769
_cell_length_c 8.0503
_cell_angle_alpha 90.00
_cell_angle_beta 114.17
_cell_angle_gamma 90.00
loop_
_atom_site_label
_atom_site_type_symbol
_atom_site_fract_x
_atom_site_fract_y
_atom_site_fract_z
Nd1 Nd 0.0000 0.0471 0.2500
Cd1 Cd 0.0000 0.5000 0.0000
F1 F 0.0000 0.3686 0.2500
F2 F 0.0057 0.1779 0.9647
F3 F 0.2468 0.4795 0.6280
# formation energy without anion corrections	-74.5	kcal/mol of atoms

***

# La3Pm2Bi4 | Alexandria via LeMat-Bulk | PBE | optimized geometry
data_La3Pm2Bi4
_chemical_formula_sum 'La6 Pm4 Bi8'
_space_group_name_H-M_alt 'C 1 2/m 1'
_space_group_IT_number 12
_space_group_name_Hall '-C 2y'
_cell_length_a 15.8222
_cell_length_b 4.8900
_cell_length_c 10.7774
_cell_angle_alpha 90.00
_cell_angle_beta 132.38
_cell_angle_gamma 90.00
loop_
_atom_site_label
_atom_site_type_symbol
_atom_site_fract_x
_atom_site_fract_y
_atom_site_fract_z
La1 La 0.0000 0.0000 0.0000
La2 La 0.1522 0.5000 0.7270
Pm1 Pm 0.1492 0.5000 0.3341
Bi1 Bi 0.0632 0.0000 0.4126
Bi2 Bi 0.1560 0.5000 0.0371
# energy of formation from the pure elements	-0.801	eV/atom

***

# Rb2GeRhI6 | Alexandria via LeMat-Bulk | PBE | optimized geometry
data_Rb2GeRhI6
_chemical_formula_sum 'Rb4 Ge2 Rh2 I12'
_space_group_name_H-M_alt 'I 4/m m m'
_space_group_IT_number 139
_space_group_name_Hall '-I 4 2'
_cell_length_a 8.1178
_cell_length_b 8.1178
_cell_length_c 11.5178
_cell_angle_alpha 90.00
_cell_angle_beta 90.00
_cell_angle_gamma 90.00
loop_
_atom_site_label
********
The article goes on:

His fingers went to the button of my jeans.